The Spectacled bear or the Andean Bear is only found in the cloud forests of The Andes located in Northern and Western South America.
It is also called the Andean short-faced bear, due to its shorter snout. All other species of the short-faced bears are now extinct; leaving spectacled bear as the lone survivor of its community.
The elusive bear is known as the “jukumari” in the local Aymara community, while, in Quechua language, it is called the “ukumari”.

Spectacled bear wearing 'spectacles'
Image credits: Chris Humphries/Shutterstock
The name “spectacled”, given to the bear, is widely embraced due to the creamy-white colored line of fur encircling its eyes. The Spectacled bear is completely black in color, with light colored patches of fur on its chest and around the eyes.
The light colored fur doesn’t always encircle the eyes completely, but when it does, it looks like the bear is wearing spectacles. Every bear has a different pattern of these light colored patches on their body. Biologists use this distinctive feature to recognise individual bears for study.
Males and females of the species can be easily distinguished by their difference in size.
Due to their extremely shy and elusive nature, they are very difficult to spot in the lush cloud forests of The Andes; which is why very less is known about the spectacled bears’ lifestyle in the wild.
To fill in the blanks, researchers also keep a track on behavior, health and lifestyle of the bears in captivity. The female is smaller and weighs a third less as compared to the male spectacled bear. A healthy adult male can weight up to 160 kg while the female weighs between 80 to 90 kg.
There is no data on the bear’s maximum age in the wild, but healthy bears in captivity live for up to 25 years. An adult can be up to 6 feet in length.

Spectacled bears have a sufficient sense of vision
Image credits: Bildagentur Zoonar GmbH/Shutterstock
Spectacled bears have sufficient sense of hearing and vision. In cloud forests, the dense cloudy atmosphere, thick vegetation and rich wildlife, make it extremely difficult for an animal to see clearly or hear precisely.
Being the largest carnivores in South America, the spectacled bears also have no need to keep an eye out for predators. Under such circumstances, the most effective sense in the Andes is the sense of smell and the bear knows that well.
They depend majorly on their nose, which can pick up the smell of ripe fruits or dead carcasses from several miles away. Spectacled bears are known to travel large distances in search of food in its habitat.
The spectacled bear population is distributed only along the Andes mountain range located in the Northern and Western South America. These bears prefer a wet habitat with high levels of humidity in the air. They are usually found at an elevation above 1900 meters in the mountains, where there are dense vegetation and plenty of food sources available for the bear. However, these animals are highly adaptable and can survive in different conditions depending on the availability of food.
They have been found at altitudes as low as 250 meters and as high as 5000 meters. These wet forests are very rich in wildlife and vegetation, with lush trees and bushes covering the entire mountain grounds.
The climate remains constant throughout the year in these equatorial cloud forests. As there is no winter, spectacled bears do not hibernate. Unlike other bears that spend cold times in hibernation, the spectacled bear can be seen active throughout the year due to its habitat.

Spectacled bears are known to make beds on top of trees to relax.
Image credits: Bildagentur Zoonar GmbH/Shutterstock
The spectacled bear spends most of its life on trees and loves to feed on fruits, berries, orchid bulbs, roots, tree bark and bamboo.
They cover vast areas inside the dense forests in search of food and feed on a wide range of plants.
Early researchers considered this species as vegetarian until recently, when biologists observed that they occasionally hunt and scavenge for meat as well. The bear feeds on beetles, termites, dead cows, rodents and other small mammals, for meat.
Cattle killings in the region were often linked to the more notorious mountain lion, which shares its habitat with the spectacled bear in The Andes. Recently, when biologists got a hand on a cow that escaped an attack from a predator, they were able to closely study the inflicted wounds for the first time. A closer look was enough to clear the mist. Cats like leopards and mountain lions, inflict a damaging bite on the throat of their prey to suffocate the animal to death. Unlike the wild cats, bears bite the backbone of their prey to immobilise it.
When they found a deep wound on the back of the cow, but nothing on its throat, it was clear that it was a bear attack; and the only bear in South America is the spectacled one.

They have been found at altitudes as high as 5000 metres
Image credits: Christian Musat/Shutterstock
Spectacled bear hunts very rarely. Only 5% of the spectacled bear diet consists of meat while the rest is composed entirely of vegetation.
Due to a wide range of options, the spectacled bear faces little to no competition for food. However, they are highly affected by the human establishment and deforestation in The Andes.
As human population increases in the spectacled bear habitat, the bears are pushed to higher altitudes. Overgrazing and deforestation inflict huge losses to the bear as they lose their resting sites and feeding grounds.
Biologists point at this factor as one of the primary reasons for the few cattle killings in the region. Otherwise, the spectacled bear is a calm and shy bear that loves to eat fruits and berries of the forest.
Reproduction and life cycle
Female spectacled bears reach sexual maturity between the age of 4 and 7 years while for males the age of sexual maturity is 3 to 5 years.
Males search for females in oestrus and mate with them. Very little is known about their mating behavior in the wild.
Biologists have recorded increased vocalisations and sightings of mating pairs between the months of March and October.
Females give birth to 1 to 2 cubs between December and February, when there are heavy rainfalls and plenty of available food sources. Based on this information the gestation period is speculated to be anywhere between 200 to 240 days (in captivity there are records of a gestation period between 5,5 and 8,5 months).

The cubs don’t leave the mother until they are more than 3 years in age.
Image credits: Andrea Izzotti/Shutterstock
The females give birth to one or two cubs weighing approximately 300 grams. For the first three months, the female takes intensive care of the cubs.
In captivity, the cubs are seen eating solid foods only after they are 85-90 days old.
The spectacled bear cub is born blind. The eyes don’t open until they are 25-40 days old.
Bear cubs grow very quickly at the starting stages after birth. The spectacled bear cub can grow from 300 grams to 10 kg in 6 months time.
The cub is fed by its mother’s milk for the first 3 months only. After approximately 3 months, the mother introduces the cubs to the outside world by taking them aside her, in search of food.
The female sometimes travels large distances in search for food and the baby climbs on her back whenever it’s tired. The cub learns its ways by imitating its mother and playing with her.
The cubs don’t leave the mother until they are more than 3 years in age. Male cubs leave their mother just before reaching sexual maturity. This way, the males can mate in the immediate next season and sustain their population.
Under the safety of an adult female, the spectacled bear cub faces no danger in the wild. They simply stick close to the mother to evade predators.
Being on top of the Andean food chain, the only danger faced by the spectacled bear cubs are humans. Especially when they have cubs, females are on the look-out for an easy meal. As a result, they often raid cornfields and other farms under human occupation.
When confronted by humans, the cubs are often orphaned and captured, made pets, or raised in inappropriate conditions.
Behavior and Communication
Spectacled bears are solitary and arboreal in nature. Adults are seen together only during the mating season. They are efficient tree climbers and spend most of the time up in the trees of the Andean cloud forest, which makes them extremely hard to find for biologists and researchers.
The bear seems to have precise knowledge about different edible plants in its territory. Most of its day is spent in looking for food.

Spectacled bear drinking water
Image credits: Stephen Meese/Shutterstock
They are extremely shy and calm in nature. Due to their shy and elusive behavior, researchers once assumed that the bear must be completely nocturnal. Detailed studies revealed later, that the spectacled bear is completely diurnal, with minimal to no activity at night.
They are known to scavenge for carcass meat. Mountain lions are active hunters in Andean forests. But, the scavenging spectacled bear is often blamed for being the killer as it is often spotted feeding on the carcass.
Behaviorally, the spectacled bear is very similar to the giant pandas of China. Like pandas, they love to eat bamboo and tend to spend a calm lifestyle.
They are solitary, but not very territorial. Individuals can be seen feeding together without any conflicts.
Females care for their cub for as long as 3 years. Due to this behavior, it is suspected that minimal level of intercommunication is possible between spectacled bears.
Vocalisations during the mating seasons are also pointed out by researchers as evidence of communication.

~~~
Diffraction record for Co2GeS4. The XRD peak list is simulated, not measured: it uses a DFT-relaxed cell (GGA-PBE, Alexandria) and Cu Kα.

Structural model:
Cell: 6.2411 6.2411 11.6449 Å, 90.00 90.00 90.00°
Space group I4_1/a (No. 88, origin choice 2)
One atom of each set of equivalent atoms:
1 Co 0.0000 0.0000 0.0000
2 Ge 0.0000 0.2500 0.6250
3 S 0.1597 0.0476 0.8332

Largest 10 diffraction maxima, by angle, 15° ≤ 2θ ≤ 90°:
- 2θ 25.3, rel. 16.2
- 2θ 27.1, rel. 26.9
- 2θ 32.6, rel. 32.9
- 2θ 33.0, rel. 100.0
- 2θ 37.0, rel. 15.6
- 2θ 41.4, rel. 30.2
- 2θ 48.7, rel. 24.0
- 2θ 49.7, rel. 24.6
- 2θ 52.0, rel. 32.9
- 2θ 53.5, rel. 15.3

Diffraction record for YbI3O11. The XRD peak list is simulated, not measured: it uses a DFT-relaxed cell (GGA-PBE, Alexandria) and Cu Kα.

Structural model:
Cell: 7.5041 7.5715 9.1699 Å, 95.87 95.37 117.29°
Space group P-1 (No. 2)
One atom of each set of equivalent atoms:
1 Yb 0.1238 0.2621 0.1474
2 I 0.2492 0.8621 0.1917
3 I 0.3088 0.5956 0.8366
4 I 0.4456 0.2713 0.5153
5 O 0.0036 0.8601 0.6334
6 O 0.0419 0.9054 0.1002
7 O 0.0814 0.6128 0.2314
8 O 0.2043 0.2506 0.5726
9 O 0.2101 0.7747 0.8785
10 O 0.2381 0.0172 0.3710
11 O 0.2934 0.5162 0.0201
12 O 0.3489 0.7141 0.5818
13 O 0.4013 0.4534 0.3662
14 O 0.4183 0.2152 0.1166
15 O 0.4863 0.1527 0.6698

Largest 10 diffraction maxima, by angle, 15° ≤ 2θ ≤ 90°:
- 2θ 15.4, rel. 100.0
- 2θ 23.3, rel. 32.4
- 2θ 25.7, rel. 36.8
- 2θ 26.5, rel. 33.6
- 2θ 26.6, rel. 27.6
- 2θ 26.9, rel. 32.1
- 2θ 29.5, rel. 70.0
- 2θ 29.8, rel. 59.7
- 2θ 30.4, rel. 34.8
- 2θ 31.0, rel. 33.4

Diffraction record for Tb2SmHo6Tm3. The XRD peak list is simulated, not measured: it uses a DFT-relaxed cell (GGA-PBE, Alexandria) and Cu Kα.

Structural model:
Cell: 6.1149 10.5777 11.6888 Å, 90.00 99.99 90.00°
Space group C2/m (No. 12)
One atom of each set of equivalent atoms:
1 Tb 0.0000 0.1667 0.0000
2 Sm 0.0000 0.5000 0.0000
3 Ho 0.2481 0.1668 0.7473
4 Ho 0.2486 0.5000 0.7473
5 Tm 0.0000 0.0000 0.5000
6 Tm 0.0000 0.3332 0.5000

Largest 10 diffraction maxima, by angle, 15° ≤ 2θ ≤ 90°:
- 2θ 31.1, rel. 100.0
- 2θ 36.0, rel. 50.6
- 2θ 51.8, rel. 35.9
- 2θ 61.7, rel. 28.5
- 2θ 61.7, rel. 14.2
- 2θ 64.7, rel. 12.3
- 2θ 84.7, rel. 13.4
- 2θ 84.8, rel. 4.4
- 2θ 87.4, rel. 8.4
- 2θ 87.5, rel. 8.3

Diffraction record for Ca2NdTl9. The XRD peak list is simulated, not measured: it uses a DFT-relaxed cell (GGA-PBE, Alexandria) and Cu Kα.

Structural model:
Cell: 4.8482 4.8482 14.5710 Å, 90.00 90.00 90.00°
Space group P4/mmm (No. 123)
One atom of each set of equivalent atoms:
1 Ca 0.0000 0.0000 0.1682
2 Nd 0.0000 0.0000 0.5000
3 Tl 0.0000 0.5000 0.0000
4 Tl 0.0000 0.5000 0.3331
5 Tl 0.5000 0.5000 0.1668
6 Tl 0.5000 0.5000 0.5000

Largest 10 diffraction maxima, by angle, 15° ≤ 2θ ≤ 90°:
- 2θ 18.3, rel. 9.3
- 2θ 26.0, rel. 8.2
- 2θ 32.0, rel. 100.0
- 2θ 37.1, rel. 50.6
~~~
End of the data records:

Spectacled bears are extremely shy and calm in nature.
Image credits: 1552299/Shutterstock
In its habitat, the spectacled bear can be seen using different ways to find its food. Long-term observations proved that the bear somehow manages to understand when and where its favourite food can be available.
They are also known to make beds on top of trees to relax. They break nearby branches and make a giant nest on top of the tree whenever they need a nap. They also wait for fruits to ripen before they eat it.
Due to such understanding of its surroundings, it is speculated that the spectacled bear is a very intelligent creature, with good problem-solving abilities.
Spectacled bears and all other bears of the modern world fall under the family Ursidae of the suborder Caniformia. All these carnivorous animals share a common characteristic, which is the “dog-like” snout.
The Parictis and Allocyon are the earliest members of the Ursidae that roamed on earth approximately 38 to 18 million years ago. These were small predators, with a major part of their diet consisting of small insects. These ancient bears were not larger than the modern raccoon.
Approximately 13 million years ago, the short-faced bears differentiated from the Ursidae. They were named scientifically as the Tremarctinae.
The earliest known short-faced bear is the Plionarctos. It evolved around 10 million years ago and later changed into different species of short-faced bears, including the giant short-faced bear that could weight up to 1000 kg.
The modern Andean spectacled bear is the only surviving species of the short-faced diversion of bears. However, they are also under extreme threat of extinction.
Population and Conservation Status
The entire spectacled bear population is distributed along the forests in Western Bolivia, Northwestern Argentina, Venezuela, Ecuador, Columbia and Peru. Some have also migrated towards the forests in Panama.
There are less than 3000 of them left in the wild and are under the threat of extinction. Human population and occupation are the primary factors for this bear’s vulnerable state of existence.
The local population has occupied large portions of the remote areas by clearing off the dense vegetation of the cloud forest.
The dense trees are now replaced by fields and, therefore, the bears are pushed deeper into the cloud forests. A vast portion is also lost due to cattle grazing, as a result of which, the bears experience a lack of food sources.

Spectacled bears are under serious threat of extinction.
Image credits: Andrei Preda/Shutterstock
The intelligent animal is highly adaptable and finds new sources of food when there is scarcity. In search of food, they often raid the farms or attack the cattle. This has resulted into hatred for the bear amongst the local farmers.
Humans shoot the adult bear in order to keep their fields and cattle safe while the bears face a loss of habitat and food.
Conservation measures are being taken widely to protect the beautiful and unique animal, but its elusiveness makes it very difficult for the researchers. Conservationists also carry out regular campaigns to educate the locals about the spectacled bear.
In some parts of its range, the locals are happy to see the amazing creature around them. But in other locations, they are seen with hatred.
Biologists speculate that the species can go extinct in the near future when effective methods of coexistence between human and bear aren’t applied quickly.
The spectacled bears can be kept safe by reducing human confrontations and increasing awareness about the harmless and calm nature of these gentle beasts.

Extinction of the spectacled bear can destroy the entire ecology of Andes
Image credits: Ammit Jack/Shutterstock
Note The spectacled bear population in The Andes is under great threat and the situation can adversely affect the entire eco-system of The Andes.
The habitat is full of dense vegetation and cloud forests. The spectacled bears constantly chew on tree bark causing the trees to fall off early. As a result, open patches occur amidst dense vegetation and allow sunlight to the inner part of the forests.
As the inner ground receives sunlight, young plants get an opportunity to grow and the cycle continues.
Extinction of an animal so important can destroy the entire ecology of The Andes, which in turn will only affect the humans.
- They are called spectacled because of their white patch around the eyes.
- Their close relative, the giant short-faced bear was the largest species of bear to ever roam on the surface of earth. It could weight close to a ton and was 10-11 feet tall on its hind legs.
- The spectacled bear is the only South American bear known in the modern world.
- The famous stories of the Paddington bear written in 1958, was inspired by the spectacled bear found in South America.
- Writer Michael Bond wanted Paddington to be a bear from the darkest of Africa. This was later changed to South America when he realised that there are no bears in Africa.
- Spectacled bear is the last surviving short-faced bear species. The short-faced bears ruled the earth as lately 10,000 years ago.